### Brief
It remains to say how many lines of the contents further below hold the word "Source", as a bare number.
### Material
-- begin --
[1]
Formula: CH3I2O2P
Source: the OMol25 dataset
Level of theory: ωB97M-V/def2-TZVPD

LUMO energy: -1.098 eV
E: -1127.1667 hartree
HOMO level: -0.3564 Ha
Molecular weight: 331.8 g/mol

Structure (ORCA input):
```
! RIJCOSX wB97M-V def2-TZVPD def2/J DEFGRID3
* xyz 0 1
I -1.35 1.96 0.62
I -2.93 -1.44 0.34
P -0.37 0.02 -0.44
O -0.79 -0.07 -1.84
O -0.97 -1.21 0.52
C 1.37 0.09 0.11
H 1.69 1.05 -0.34
H 1.43 0.38 1.22
H 1.92 -0.78 -0.18
*
```

=====

[2]
Formula: CH3IN2
Source: the OMol25 dataset
Level of theory: ωB97M-V/def2-TZVPD

LUMO energy: -0.702 eV
E: -446.9806 hartree
HOMO level: -0.3488 Ha
Molecular weight: 170.0 g/mol

Structure (ORCA input):
```
! RIJCOSX wB97M-V def2-TZVPD def2/J DEFGRID3
* xyz 0 1
I -0.56 -1.62 2.03
N 0.21 -0.89 0.14
N 0.62 0.73 0.34
C -0.36 0.25 -0.58
H -1.39 0.47 -0.13
H 1.58 0.77 -0.11
H -0.10 0.30 -1.68
*
```

=====

[3]
Formula: CH3IN2O
Source: the OMol25 dataset
Level of theory: ωB97M-V/def2-TZVPD

LUMO energy (spin up / spin down): -0.771 / -0.621 eV
E: -522.1103 hartree
HOMO level (spin up / spin down): -0.3143 / -0.3136 Ha
Molecular weight: 186.0 g/mol

Structure (ORCA input):
```
! RIJCOSX wB97M-V def2-TZVPD def2/J DEFGRID3
* xyz 0 1
I -0.17 2.15 0.36
O 1.73 0.09 -0.57
N -1.21 0.49 -0.07
N 1.33 1.12 -1.03
C -0.63 -0.71 0.25
H 0.57 -0.66 -0.17
H -1.07 -1.65 -0.16
H -0.54 -0.84 1.39
*
```

=====

[4]
Formula: CH3IN2O
Source: the OMol25 dataset
Level of theory: ωB97M-V/def2-TZVPD

LUMO energy: 0.182 eV
E: -522.2734 hartree
HOMO level: -0.3221 Ha
Molecular weight: 186.0 g/mol

Structure (ORCA input):
```
! RIJCOSX wB97M-V def2-TZVPD def2/J DEFGRID3
* xyz 0 1
I -3.98 0.19 -0.03
O -1.89 -1.87 -0.08
N 0.34 0.17 0.22
N -0.93 0.41 0.61
C -2.13 -0.74 0.02
H 0.60 -0.73 0.63
H 0.31 0.24 -0.85
H -1.37 1.16 0.08
*
```

* * * * *

Density functional theory data (ωB97M-V with the def2-TZVPD basis set) for a 6-piece molecular cluster, C42H69NO20 overall.

- HOMO energy (eV) = -7.20
- ΔE to the lowest compared entry with this formula, charge and spin (kJ/mol) = 789.98
- E_tot (eV) = -87106.466

Positions of all 132 atoms, in Å:
C 2.37478 0.19203 -1.83957
C 2.08141 -0.80538 -1.24739
C 1.77481 -2.06077 -0.58132
N 2.46047 -2.31060 0.68300
C 2.10334 -1.37877 1.75579
C 2.86901 -0.05025 1.80058
C 1.94360 1.13119 1.49406
C 1.26138 1.71631 2.72137
C 1.09822 3.21910 2.60903
C -0.07071 3.63791 1.73366
C -1.34069 2.81810 1.92764
C -1.83044 2.77899 3.35497
C -3.26761 2.26855 3.45870
C -3.51502 0.91538 2.77960
C -3.76064 -0.24881 3.78529
C -2.90823 -1.50947 3.52361
C -3.57985 -2.50007 2.59145
C -3.64384 -2.00504 1.15220
C -3.44557 -3.11410 0.13371
C -2.01757 -3.63255 0.04647
C -0.94191 -2.59990 -0.24391
C -1.01886 -1.98892 -1.63192
C -0.47752 -0.56031 -1.66533
C -1.53898 0.46078 -1.30549
C 3.82863 -2.57542 0.57567
O 4.36153 -3.33294 1.32252
O 4.53782 -2.00585 -0.43512
H 2.51303 1.11528 -2.30093
H 1.97540 -2.88447 -1.24253
H 0.71499 -2.08528 -0.38898
H 2.29311 -1.89211 2.68577
H 1.03702 -1.24514 1.72925
H 3.67272 0.01449 1.08169
H 3.27692 0.06657 2.78967
H 1.20472 0.80689 0.77845
H 2.54779 1.87905 1.00452
H 1.91791 1.52877 3.55998
H 0.34760 1.18773 2.94018
H 1.99444 3.57717 2.12084
H 1.09454 3.68916 3.57605
H -0.33324 4.66024 1.97547
H 0.17785 3.62587 0.68175
H -1.16912 1.82614 1.54522
H -2.12680 3.28116 1.35017
H -1.83364 3.77563 3.77823
H -1.23260 2.17128 4.02197
H -3.89516 3.02675 3.00125
H -3.58793 2.16431 4.48514
H -4.41235 0.99415 2.17687
H -2.73604 0.61646 2.10564
H -4.77880 -0.56950 3.62620
H -3.58302 0.06257 4.79955
H -1.91685 -1.27792 3.15167
H -2.80151 -2.00558 4.48484
H -4.58558 -2.68743 2.93040
H -3.05106 -3.44091 2.61071
H -4.60162 -1.55115 0.95211
H -2.90903 -1.24826 0.94075
H -3.72199 -2.68526 -0.82072
H -4.14189 -3.92424 0.28879
H -1.97740 -4.36835 -0.74072
H -1.79171 -4.08431 1.00535
H -0.00120 -3.12792 -0.20723
H -0.89933 -1.83815 0.52229
H -2.02001 -2.00174 -2.04146
H -0.39221 -2.56468 -2.29591
H 0.29230 -0.49998 -0.90645
H -0.08767 -0.36647 -2.64523
H -1.11199 1.41880 -1.06825
H -2.25944 0.57505 -2.09845
-- stop --
### Completed
4